He Aho – Threads
Guest Curated by Gabrielle Belz and Bonita Bigham
March 4 – 27 2022
Artists who belong to the Taranaki Maori Arts Collective will create artwork in response to the title 'He Aho - threads' in whatever way they wish. The exhibition is intended to celebrate the continuity of artistic excellence as practiced by leading Māori artists who whakapapa to the region, or who by their mahi within the rohe, have forged links.
This collection of works comprise of paintings, film, photography, installation work, print, raranga and whakairo (wood and stone). Visit to see and hear their stories within Percy Thomson Gallery in Whakaahurangi/ Stratford.
Ngā mihi nui ki ngā rangatira toi o ngā wa i mua, me ngā ringa mahi o ēnei rā e tautoko ana te kaupapa nei.
Artist Preview
A powhiri was held in the gallery for artists and their whanau to attend.
Curators' Statement
The title of this exhibition expresses the idea of associations we have with
others through shared whakapapa and historic events impacting on social
frameworks and experiences of place.
The artists involved belong to Toi o Taranaki Ki Te Tonga, either having
whakapapa that links them to iwi within Taranaki, or who are Māori and live
here and contribute to our community through their creativity.
The creation of mahi toi enables cultural narratives to be passed down
through the generations. Our yesterday’s inform us today and become part
of tomorrow’s history. While some of these works have been made in a
contemporary context, they have already become part of our history and
therefore our future.
Stone-carving has long been a skill practiced in Taranaki by generations
past, both to record events and identify people with place, as well as for
making tools and adornments. With modern power tools, the ancient
process of grinding and polishing to expose the hidden beauty and colours
within stone now means what once took months can be now be produced
in much shorter times. The intent however, to express a sense of identity
and mana, still remains.
Statements by some of the artists make reference to others, whose
support, mentorship and inspiration have impacted and influenced their
own work. For Māori, mahi toi is not a solo artistic endeavour, but stretches
out across the expanse of te Ao Māori whānau whānui, to enrich and
enhance the wairua of all.
This collection of works uses paint, light (photography and video),
installation work, print, raranga and whakairo (wood and stone) by the
participating artists to make references that enable some of the stories and
connections across a wide expanse of time to come together in one place,
within the Percy Thomson Gallery in Whakaahurangi, in this particular
moment in time.
Attached: materials data:
[1]
This record from the Alexandria database describes TlNiAg2 after structural relaxation. The functional is GGA-PBE.

Summary:
For the energy relative to the lowest polymorph listed for this composition, the calculation gives 0.1950 eV/atom. Its crystal system is trigonal.

abc: 3.0773 3.0773 28.0282
angles: 90.00 90.00 120.00
Last column: nearest neighbours and their distance in Å.
Space group R-3m (No. 166, hexagonal axes)
Symmetry-distinct sites (fractional):
Tl 0.0000 0.0000 0.0000 [3 per cell]  6 Tl 3.08, 6 Ag 3.21
Ni 0.0000 0.0000 0.5000 [3 per cell]  6 Ag 2.68
Ag 0.0000 0.0000 0.2380 [6 per cell]  3 Ni 2.68

[2]
This record from the Alexandria database describes Sr3CaRu2O9 after structural relaxation. The functional is GGA-PBE.

Summary:
The raw formation energy comes out at -2061 meV per atom. Its crystal system is monoclinic.

abc: 14.1480 5.8121 9.9722
angles: 90.00 90.14 90.00
Last column: nearest neighbours and their distance in Å.
Space group P2_1/c (No. 14)
Symmetry-distinct sites (fractional):
Sr 0.0826 0.0371 0.3318 [4 per cell]  5 O 2.48-2.76
Sr 0.2524 0.5435 0.5076 [4 per cell]  7 O 2.51-2.78
Sr 0.4115 0.0391 0.6668 [4 per cell]  6 O 2.51-2.79
Ca 0.0000 0.0000 0.0000 [2 per cell]  6 O 2.25-2.28
Ca 0.5000 0.0000 0.0000 [2 per cell]  6 O 2.27-2.28
Ru 0.1684 0.5022 0.1725 [4 per cell]  6 O 1.90-2.12
Ru 0.3310 0.0058 0.3389 [4 per cell]  5 O 1.90-2.08
O 0.0690 0.1949 0.6043 [4 per cell]  1 Ru 1.94
O 0.0937 0.7305 0.6297 [4 per cell]  1 Ru 1.93
O 0.1172 0.0182 0.8480 [4 per cell]  1 Ru 1.90
O 0.2240 0.5179 0.9753 [4 per cell]  2 Ru 2.04-2.12
O 0.2502 0.2123 0.2121 [4 per cell]  2 Ru 2.08
O 0.2760 0.7105 0.2375 [4 per cell]  2 Ru 2.05-2.14
O 0.3804 0.2286 0.9262 [4 per cell]  1 Ru 1.90
O 0.4056 0.6954 0.9495 [4 per cell]  1 Ru 1.92
O 0.4301 0.0165 0.2055 [4 per cell]  1 Ru 1.94

[3]
This record from the Alexandria database describes Cs2FeBr after structural relaxation. The functional is GGA-PBE.

Summary:
The raw formation energy comes out at 30 meV per atom. Its crystal system is cubic.

abc: 8.9758 8.9758 8.9758
angles: 90.00 90.00 90.00
Last column: nearest neighbours and their distance in Å.
Space group Fm-3m (No. 225)
Symmetry-distinct sites (fractional):
Cs 0.2500 0.2500 0.2500 [8 per cell]  4 Fe 3.89, 4 Br 3.89
Fe 0.0000 0.0000 0.0000 [4 per cell]  8 Cs 3.89
Br 0.0000 0.0000 0.5000 [4 per cell]  8 Cs 3.89

[4]
This record from the Alexandria database describes YPu3Pa2N6 after structural relaxation. The functional is GGA-PBE.

Summary:
The raw formation energy comes out at -1475 meV per atom. Its crystal system is monoclinic.

abc: 6.0718 10.5121 6.0518
angles: 90.00 109.53 90.00
Last column: nearest neighbours and their distance in Å.
Space group C2/m (No. 12)
Symmetry-distinct sites (fractional):
Y 0.0000 0.0000 0.0000 [2 per cell]  6 N 2.47-2.48
Pu 0.0000 0.1646 0.5000 [4 per cell]  6 N 2.49-2.54
Pu 0.0000 0.5000 0.5000 [2 per cell]  6 N 2.48-2.54
Pa 0.0000 0.3331 0.0000 [4 per cell]  6 N 2.42
Ngā mihi nui ki ngā rangatira toi o ngā wa i mua, me ngā ringa mahi o ēnei
rā e tautoko ana te kaupapa nei.
Guest Curators
GB / BB - 2022